The Burdens of Success

Successful v Unsuccessful 1

That’s a nice fantasy, isn’t it?  People who have been successful in life want others to succeed.  They cheer when others triumph, and they always pitch in and lend a helping hand, right?

As much as I’d love for it to be true, this statement is utter bunk.  First, there are plenty of successful people who have no interest in making other people successful.  We heard them griping when people started pushing for higher minimum wages.  Oh sure, they tried to disguise their discontent as concern for the lower-middle-class workers on whose backs their mansions were built.  They said things like “Increasing the minimum wage will force us to eliminate jobs.”  But we know what they were really saying, don’t we: “This hurts my bottom line, and I’m not interested in helping those who have been less fortunate than me if it eats into my profits.”

While we’re at it, I’d like to talk about the confusing and conflicting definitions of success presented in each panel of this meme:  In the left panel, the indicator of success seems to be standing on a rectangle.  In the second panel, the Schadenfreude-possessed man is clearly standing on a rectangle, and has therefore met the implied definition of success established by the left panel – and yet the meme implies that this man is not successful.  So now I’m confused: is standing on a rectangle a necessary condition for success, or isn’t it?

Successful v Unsuccessful 2

If I may offer a counter-example, Dan Rather has had a long and very successful career talking about people.  Oh sure, he has talked about ideas as well, but a large portion of his job has been sitting in front of a camera and talking about people: who they are, what rotten stuff they’re doing, and what other people are doing about it.

I get the impression that this series of memes is less concerned about making you successful, and more concerned about making you a generally decent human being.  I would have no issue with these memes if they would just come out and say that; but I’m irritated by the insinuation that being a decent person will automatically make you successful (or, by extension, that successful people are all decent).  These memes seem to say “Look, if you just wouldn’t be so terrible, you’d be successful”, which comes perilously close to poor-shaming.

Successful v Unsuccessful 3

Okay, I have a lot of problems with this one.

First: the “successful” man is going to develop back problems if he keeps sitting like that.  No amount of success is worth constant lumbar pain.  Maybe he should use his computer to search for padded office chairs.

Second:  being asleep is not synonymous with being unsuccessful.  Everybody needs to sleep, successful or otherwise.

Third: Unsuccessful people do not necessarily think they know it all.  That’s an unfair generalization.  The implication is that unsuccessful people are complacent in their ignorance; in fact, there are lots of people who haven’t met the society-approved definition of success, yet who are nevertheless working determinedly to improve themselves.  Sometimes the going is slow; sometimes they are stymied by social barriers.  Sometimes the burden of being “unsuccessful” is a vicious cycle.

Successful v Unsuccessful 4

I have heard this exact same argument being used against disadvantaged minorities; to wit, poor black people need to take responsibility for their problems instead of blaming the white man.  It’s so easy to assume that an unsuccessful person got that way because he lacks motivation, talent, and perseverance.  It’s much harder to cast aside prejudices and consider the fact that some people are systematically prevented from tasting anything like success.  If a person is poor and comes from a poor neighborhood, certain opportunities are not available to him – at least, not without an unfairly steep struggle and a liberal helping of good fortune.  When you look at two people – one who has met only minor resistance in his rise to the top, and one who has had to strive for every inch of ground gained, only to have it snatched away at the whims of the elite – you might understand why the “unsuccessful” person would become bitter.  And yet this meme seeks to punish him for his bitterness, as if it’s not right for him to be angry at constant, systemic injustice.

This record from the OMol25 dataset describes 6 unconnected molecules or ions with the total composition C47H98N5O7. The level of theory is ωB97M-V/def2-TZVPD.

Results
- Electronic energy: -72100.1021 eV
- Gap between HOMO and LUMO: 5.07 eV
- Relative energy (zero: lowest compared OMol25 entry of this formula, charge and spin): 191.2 kcal per mole
- HOMO level: -3.18 eV
- Charge: -1
- Multiplicity: 1

XYZ file:
```
157
Properties=species:S:1:pos:R:3:lowdin_charge:R:1
C -1.114 -1.092 -0.429 -0.055
C -1.854 -1.539 -1.731 -0.909
O -1.259 -1.742 -2.793 -0.113
O -2.992 -1.828 -1.677 -0.047
H -0.060 -0.848 -0.559 0.037
H -1.093 -1.906 0.296 0.045
H -1.561 -0.187 -0.019 0.043
C -6.519 -0.006 -10.072 -0.055
C -6.471 1.392 -9.427 -0.398
C -7.963 1.670 -8.917 -0.156
C -8.047 2.781 -7.953 -0.213
C -7.080 2.578 -6.768 -0.111
C -5.545 2.534 -7.248 -0.475
N -5.430 1.470 -8.313 -0.126
O -4.158 1.093 -8.703 0.010
C -5.168 3.902 -7.709 -0.053
C -4.767 2.105 -5.941 -0.016
C -6.258 2.490 -10.618 -0.036
H -6.703 -0.704 -9.255 0.085
H -5.718 -0.472 -10.645 0.079
H -7.371 0.043 -10.750 0.075
H -8.633 1.862 -9.756 0.115
H -8.310 0.692 -8.584 0.113
H -9.037 2.925 -7.519 0.106
H -8.017 3.777 -8.393 0.103
H -7.186 1.639 -6.225 0.109
H -7.175 3.371 -6.026 0.115
H -5.139 4.627 -6.896 0.086
H -4.160 3.863 -8.122 0.084
H -5.877 4.253 -8.460 0.062
H -4.583 2.922 -5.243 0.079
H -5.310 1.285 -5.471 0.082
H -3.771 1.770 -6.230 0.077
H -6.775 2.211 -11.535 0.067
H -5.221 2.748 -10.834 0.061
H -6.675 3.489 -10.487 0.055
H -3.997 1.780 -9.354 0.075
C -2.708 -9.802 6.756 -0.055
C -3.106 -8.464 6.066 -0.402
C -3.271 -7.375 7.226 -0.132
C -3.415 -5.939 6.583 -0.141
C -2.109 -5.749 5.714 -0.164
C -1.916 -6.680 4.544 -0.512
N -1.919 -8.018 5.126 -0.109
O -1.692 -8.969 4.150 -0.027
C -3.064 -6.147 3.609 -0.032
C -0.539 -6.423 3.898 -0.017
C -4.430 -8.651 5.280 -0.043
H -1.800 -9.564 7.310 0.075
H -2.639 -10.677 6.111 0.077
H -3.395 -10.069 7.559 0.077
H -4.109 -7.662 7.862 0.103
H -2.493 -7.490 7.980 0.100
H -3.652 -5.185 7.334 0.098
H -4.369 -5.937 6.057 0.084
H -1.313 -5.883 6.447 0.108
H -1.950 -4.701 5.461 0.119
H -3.064 -5.133 3.208 0.094
H -2.984 -6.729 2.691 0.079
H -4.069 -6.413 3.935 0.054
H -0.220 -7.319 3.367 0.070
H -0.504 -5.677 3.104 0.091
H 0.196 -6.303 4.694 0.082
H -5.260 -7.995 5.545 0.071
H -4.943 -9.593 5.473 0.073
H -4.390 -8.507 4.200 0.073
H -0.831 -9.245 4.475 0.105
C 5.077 3.430 -6.013 -0.048
C 3.636 3.052 -6.493 -0.457
C 3.277 3.862 -7.832 -0.114
C 4.121 3.401 -9.078 -0.144
C 3.856 1.858 -9.231 -0.138
C 3.939 0.918 -7.979 -0.487
N 3.451 1.603 -6.726 -0.102
O 3.428 0.866 -5.524 -0.006
C 3.112 -0.279 -8.279 -0.057
C 5.423 0.548 -7.942 -0.049
C 2.611 3.544 -5.431 -0.043
H 5.913 3.210 -6.678 0.052
H 5.380 2.804 -5.174 0.076
H 5.306 4.368 -5.507 0.074
H 2.187 3.842 -7.824 0.103
H 3.717 4.858 -7.779 0.104
H 5.117 3.353 -8.638 0.078
H 4.169 4.031 -9.966 0.105
H 4.604 1.496 -9.936 0.102
H 2.872 1.735 -9.683 0.106
H 2.063 -0.034 -8.444 0.086
H 3.438 -0.668 -9.244 0.089
So much for the molecular data.

What a blessing – nay, what a privilege it is to say “I alone am responsible for my failures”.

If I were to make a meme depicting what successful and unsuccessful people look like, it might read like this:

  • Successful People  They generally have a strong work ethic, yes, but also an ethnicity, religion, family background, and contacts that are highly suitable for the society that nurtured them.
  • Unsuccessful People  Take away any one of those things, and you’ve got an unsuccessful person.

On Responsibility And Respect

X Bra

Who is the primary market for a bra like this? Female gamers? Video game widows hoping to reconnect with their game-obsessed significant others? Somebody who needs a gag gift for a bridal shower?

I don’t really have a problem with the bra itself. As with most Stupid Bad Memes, the caption carries the weight of making this meme deplorable.

I mean, really. Control her? In 2013, there are still people who think the idea of “controlling” those unruly women is hilarious. And by what means shall we control women? By jabbing at their breasts! That’s sure to work!

As long as we see women as property to be controlled, rather than as people to be respected, there is a problem. This meme proves there is a problem. Now some people will see this meme as harmless fun, but it really isn’t. It’s indicative of an attitude – an attitude that needs to change. If women are property in need of control, then it’s okay to disregard their feelings. It’s okay to force them to comply. It’s okay to rape them. This has to change. Memes like this cannot be tolerated because the attitude that spawns them cannot be tolerated.

It’s time to stop blindly posting memes because they give us a quick chuckle, and to start thinking about what we’re really saying. We bear the responsibility for everything we pass along, no matter how much we would like to disavow ourselves. It’s time to reflect before we share.

But if everybody does that, Stupid Bad Memes will be out of business. What a wonderful day that will be.